As a pastor, I believe in the power of meetings. Call me naive, but I think stuff can still be accomplished at them. Plus, I have a fear of missing them. I worry about what will be discussed in meetings when I am not there.
This is not a simple junior-high fear of wondering what people are saying about me behind my back. No, like any long-term church members should know, I fear being volunteered for something I don't want to do. (Or as Jon Acuff calls it on Stuff Christians Like, being volun-told.)
Some people might call this an irrational fear. After all, you can just tell the committee later that their good idea will be great, just as long as someone else besides you has to carry it out. That works, right? Good luck carrying out that plan with a committe chair trained to get volunteers, willing or unwilling.
But I finally have Biblical proof that missing meetings is a bad idea, a very bad idea.
All the proof I need is found in Genesis 34. A young lad by the name of Shechem falls in love with Dinah, Jacob's daughter. Now, if you actually go and read the story, you're going to find some extra-curricular activity going on that is the subject of stuff not normally put in song, but I want to skip ahead.
Shechem falls in love and asks Jacob for his daughter's hand in marriage. Jacob seems ok with it, but Dinah's brothers have other plans. So they demand that Shechem and his whole town be circumcised.
Ok, first of all, this isn't like asking a guy if you can borrow $20. This gets very personal, very quickly. But Shechem seems to not even realize what circumcision is and he gets one quite hastily. (Genesis 34:19)
This is when the meeting happens. Shechem and his dad, Hamor, go and have a meeting with the leaders of the town. They explain that Shechem wants to marry Dinah and that Dinah's family will only allow the marriage if they all get circumcised. Convinced it's a good idea, they all agree.
Do they even know what a circumcision is? Was there an instruction manual? Did they see Shechem limping? Couldn't they just send gifts or money as a nice wedding gift?
I can't even begin to imagine hearing about the meeting afterward as every dude in town is called together for the wedding preparation. "Shechem wants us to do what?"
(Next to the article, the page also holds records of crystals)
/*
Density functional theory data (PBE with a Hubbard U) for a relaxed structure of VPdN2O.

Values from the calculation:
Its space group is P4/mmm, No. 123. The density of states at the Fermi level is 4.56 states/eV/f.u. The value obtained for the total energy is -31.718 eV per cell. The calculation puts the calculated volume at 11.1 A^3/atom. For the density, the calculation gives 6.01 g/cm3.

Cell: 3.895 3.895 3.669 Å, 90.00 90.00 90.00°
Each line ends with the local moment (μB).
Fractional positions:
O: 0.000 0.000 0.500  0.23
N: 0.500 0.000 0.000  0.24
N: 0.000 0.500 0.000  0.24
V: 0.000 0.000 0.000  -0.35
Pd: 0.500 0.500 0.500  0.09

* * * * *

# GGA-PBE ScTl5, optimized geometry
data_ScTl5
_chemical_formula_sum 'Sc1 Tl5'
_cell_length_a 3.536
_cell_length_b 3.536
_cell_length_c 13.653
_cell_angle_alpha 90.00
_cell_angle_beta 90.00
_cell_angle_gamma 90.00
_space_group_name_H-M_alt 'P 1'
_space_group_IT_number 1
loop_
_space_group_symop_operation_xyz
'x,y,z'
loop_
_atom_site_label
_atom_site_fract_x
_atom_site_fract_y
_atom_site_fract_z
Sc1 0.500 0.500 0.833
Tl1 0.000 0.000 0.974
Tl2 0.500 0.500 0.146
Tl3 0.000 0.000 0.333
Tl4 0.500 0.500 0.521
Tl5 0.000 0.000 0.692
# Space-group type: P4/mmm
# Final energy (eV/cell): -18.335
# Energy of formation (eV per atom): -0.029
# E above lowest polymorph (eV/atom): 0.000
*/
(The records of crystals stop here)
If I'm not at that meeting, I'm raising some objections. I believe I would instantly have a new resoluton to NEVER MISS A MEETING AGAIN.
This is not a simple junior-high fear of wondering what people are saying about me behind my back. No, like any long-term church members should know, I fear being volunteered for something I don't want to do. (Or as Jon Acuff calls it on Stuff Christians Like, being volun-told.)
Some people might call this an irrational fear. After all, you can just tell the committee later that their good idea will be great, just as long as someone else besides you has to carry it out. That works, right? Good luck carrying out that plan with a committe chair trained to get volunteers, willing or unwilling.
But I finally have Biblical proof that missing meetings is a bad idea, a very bad idea.
(Someone pasted calculated crystals at this point)
+++
Computed, not measured: a crystal of MoHSe3 relaxed with PBEsol at the SCAN level of DFT.

abc: 4.868 4.868 4.868
angles: 90.00 90.00 90.00
Last column: magnetic moment on the atom in μB.
Sites, in units of the cell vectors:
H (0.500, 0.500, 0.500)  0.36
Mo (0.000, 0.000, 0.000)  0.02
Se (0.000, 0.500, 0.000)  0.02
Se (0.000, 0.000, 0.500)  0.02
Se (0.500, 0.000, 0.000)  0.02

Results
The calculation puts the density of states at the Fermi level at 0.75 states/eV per atom. The calculation puts the total magnetization at 1.01 μB/f.u. As for the total DFT energy (no corrections): -19.121 eV/atom.

---

Computed, not measured: a crystal of SrMoHSe2 relaxed with PBEsol at the SCAN level of DFT.

abc: 4.695 4.695 6.310
angles: 90.00 90.00 90.00
Sites, in units of the cell vectors:
Sr (0.000, 0.000, 0.500)
Mo (0.000, 0.000, 0.000)
Se (0.000, 0.500, 0.000)
Se (0.500, 0.000, 0.000)
H (0.500, 0.500, 0.500)

Results
The calculation puts the density of states at the Fermi level at 0.64 states/eV per atom. The calculation puts the total magnetization at 0.00 μB/f.u. As for the total DFT energy (no corrections): -20.087 eV/atom.

---

Computed, not measured: a crystal of SnMo2H relaxed with PBEsol at the SCAN level of DFT.

abc: 4.370 4.370 4.370
angles: 60.00 60.00 60.00
Sites, in units of the cell vectors:
H (0.000, 0.000, 0.000)
Mo (0.250, 0.250, 0.250)
Mo (0.750, 0.750, 0.750)
Sn (0.500, 0.500, 0.500)

Results
The calculation puts the density of states at the Fermi level at 1.30 states/eV per atom. The calculation puts the total magnetization at 0.01 μB/f.u. As for the total DFT energy (no corrections): -26.162 eV/atom.

---

Computed, not measured: a crystal of Ta2MoH2 relaxed with PBEsol at the SCAN level of DFT.

abc: 3.220 3.220 5.843
angles: 105.99 105.99 90.00
Sites, in units of the cell vectors:
H (0.250, 0.750, 0.500)
H (0.750, 0.250, 0.500)
Mo (0.000, 0.000, 0.000)
Ta (0.355, 0.355, 0.710)
Ta (0.645, 0.645, 0.290)

Results
The calculation puts the density of states at the Fermi level at 0.27 states/eV per atom. The calculation puts the total magnetization at 0.00 μB/f.u. As for the total DFT energy (no corrections): -35.151 eV/atom.

---

Computed, not measured: a crystal of TaMoH2 relaxed with PBEsol at the SCAN level of DFT.

abc: 3.799 3.799 3.799
angles: 60.00 60.00 60.00
Sites, in units of the cell vectors:
H (0.250, 0.250, 0.250)
H (0.750, 0.750, 0.750)
Mo (0.000, 0.000, 0.000)
Ta (0.500, 0.500, 0.500)

Results
The calculation puts the density of states at the Fermi level at 0.52 states/eV per atom. The calculation puts the total magnetization at 0.00 μB/f.u. As for the total DFT energy (no corrections): -26.418 eV/atom.

---

Computed, not measured: a crystal of Tc3MoH relaxed with PBEsol at the SCAN level of DFT.

abc: 3.899 3.899 3.899
angles: 90.00 90.00 90.00
Sites, in units of the cell vectors:
H (0.000, 0.000, 0.000)
Mo (0.500, 0.500, 0.500)
Tc (0.000, 0.500, 0.000)
Tc (0.000, 0.000, 0.500)
Tc (0.500, 0.000, 0.000)

Results
+++
All the proof I need is found in Genesis 34. A young lad by the name of Shechem falls in love with Dinah, Jacob's daughter. Now, if you actually go and read the story, you're going to find some extra-curricular activity going on that is the subject of stuff not normally put in song, but I want to skip ahead.
Shechem falls in love and asks Jacob for his daughter's hand in marriage. Jacob seems ok with it, but Dinah's brothers have other plans. So they demand that Shechem and his whole town be circumcised.
Ok, first of all, this isn't like asking a guy if you can borrow $20. This gets very personal, very quickly. But Shechem seems to not even realize what circumcision is and he gets one quite hastily. (Genesis 34:19)
This is when the meeting happens. Shechem and his dad, Hamor, go and have a meeting with the leaders of the town. They explain that Shechem wants to marry Dinah and that Dinah's family will only allow the marriage if they all get circumcised. Convinced it's a good idea, they all agree.
Records of crystals from another source follow
~~~
Computed, not measured: a relaxed OsPbNO crystal at the GGA-PBE level of DFT.

Calculated values
Polymorph energy (0 for the lowest one) (meV per atom): 663

```
8
Lattice="3.074 -3.109 0.000 3.074 3.109 0.000 0.000 0.000 6.594" Properties=species:S:1:pos:R:3 pbc="T T T"
Os 3.074 1.555 6.464
Os 3.074 -1.555 0.130
Pb 1.537 0.000 3.297
Pb 4.612 0.000 3.297
N 3.074 1.555 4.665
N 3.074 -1.555 1.929
O 1.537 0.000 0.000
O 4.612 0.000 0.000
```

=====

[1]
PBE NaSb2PI, optimized geometry; E_form (uncorrected) = 179 meV/atom; relative energy among the computed polymorphs = 0 kJ/mol of formula units
1.0
5.036 0.000 0.000
0.000 5.036 0.000
0.000 0.000 9.042
Na Sb P I
1 2 1 1
Cartesian
0.000 0.000 0.000
0.000 2.518 4.521
2.518 0.000 4.521
2.518 2.518 4.521
2.518 2.518 0.000


[2]
PBE NaSbPI2, optimized geometry; E_form (uncorrected) = 61 meV/atom; relative energy among the computed polymorphs = 0 kJ/mol of formula units
1.0
5.951 0.000 0.000
0.000 5.951 0.000
0.000 0.000 5.107
Na Sb P I
1 1 1 2
Cartesian
0.000 0.000 0.000
2.976 2.976 0.000
2.976 2.976 2.553
0.000 2.976 2.553
2.976 0.000 2.553


[3]
PBE NaSb2PI, optimized geometry; E_form (uncorrected) = 1082 meV/atom; relative energy among the computed polymorphs = 436 kJ/mol of formula units
1.0
5.569 0.000 0.000
0.000 5.569 0.000
0.000 0.000 5.491
Na Sb P I
1 2 1 1
Cartesian
0.000 0.000 0.000
0.000 2.784 0.000
2.784 0.000 0.000
2.784 2.784 2.746
0.000 0.000 2.746


[4]
PBE NaSbPI2, optimized geometry; E_form (uncorrected) = 781 meV/atom; relative energy among the computed polymorphs = 347 kJ/mol of formula units
1.0
5.658 0.000 0.000
0.000 5.658 0.000
0.000 0.000 6.372
Na Sb P I
1 1 1 2
Cartesian
0.000 0.000 0.000
0.000 0.000 3.186
2.829 2.829 3.186
0.000 2.829 0.000
2.829 0.000 0.000


[5]
PBE NaTe2PI, optimized geometry; E_form (uncorrected) = 903 meV/atom; relative energy among the computed polymorphs = 428 kJ/mol of formula units
1.0
5.743 0.000 0.000
0.000 5.743 0.000
0.000 0.000 5.664
Na Te P I
1 2 1 1
Cartesian
0.000 0.000 0.000
0.000 2.872 0.000
2.872 0.000 0.000
2.872 2.872 2.832
0.000 0.000 2.832


[6]
PBE NaTe2PI, optimized geometry; E_form (uncorrected) = 15 meV/atom; relative energy among the computed polymorphs = 0 kJ/mol of formula units
1.0
5.364 0.000 0.000
0.000 5.364 0.000
0.000 0.000 5.679
Na Te P I
1 2 1 1
Cartesian
0.000 0.000 0.000
0.000 2.682 2.840
2.682 0.000 2.840
2.682 2.682 2.840
2.682 2.682 0.000


[7]
PBE NaPaI5, optimized geometry; E_form (uncorrected) = -996 meV/atom
1.0
5.939 -5.944 0.000
5.939 5.944 0.000
-5.685 0.000 10.610
Na Pa I
2 2 10
Cartesian
1.675 4.594 7.957
4.518 -4.594 2.652
2.969 2.972 0.000
0.127 -2.972 5.305
-3.441 0.048 10.599
-0.598 -0.048 5.295
-0.232 2.318 9.052
4.518 2.410 2.652
3.581 2.318 6.862
2.611 -2.318 3.747
1.675 -2.410 7.957
6.424 -2.318 1.558
6.791 0.048 5.315
9.634 -0.048 0.010


[8]
PBE NaPaI2, optimized geometry; E_form (uncorrected) = -303 meV/atom
1.0
3.952 0.000 0.000
-1.976 3.422 0.000
0.000 0.000 31.051
Na Pa I
3 3 6
Cartesian
~~~
Do they even know what a circumcision is? Was there an instruction manual? Did they see Shechem limping? Couldn't they just send gifts or money as a nice wedding gift?
I can't even begin to imagine hearing about the meeting afterward as every dude in town is called together for the wedding preparation. "Shechem wants us to do what?"
If I'm not at that meeting, I'm raising some objections. I believe I would instantly have a new resoluton to NEVER MISS A MEETING AGAIN.